Inside the ‘Wasps’ Nest’: the rise of the Jenin Brigade

Mariam Barghouti

Mondoweiss  /  November 8, 2022

Crystal structures that have nothing to do with the text
=====
The following is a calculated powder diffraction line list of AcPaTe2O8. It was derived from a PBE-relaxed structure, using CuKα.

Top 10 peaks for 10 to 80 degrees two-theta, low angle first:
- 16.99 deg, 5.219 Å, intensity 18
- 23.51 deg, 3.784 Å, intensity 100
- 29.89 deg, 2.989 Å, intensity 91
- 33.49 deg, 2.676 Å, intensity 29
- 45.50 deg, 1.994 Å, intensity 71
- 48.09 deg, 1.892 Å, intensity 17
- 54.20 deg, 1.692 Å, intensity 18
- 56.58 deg, 1.627 Å, intensity 18
- 57.66 deg, 1.599 Å, intensity 20
- 68.35 deg, 1.372 Å, intensity 17

Structure:
a b c (Å): 6.452 6.452 6.452
angles (deg): 108.17 108.17 112.10
Positions (direct):
Ac 0.000 0.000 0.000
Pa 0.250 0.750 0.500
Te 0.500 0.500 0.000
Te 0.750 0.250 0.500
O 0.312 0.109 0.797
O 0.312 0.514 0.203
O 0.359 0.033 0.326
O 0.486 0.688 0.797
O 0.707 0.033 0.674
O 0.891 0.688 0.203
O 0.967 0.293 0.326
O 0.967 0.641 0.674

***

The following is a calculated powder diffraction line list of AcAl2Os2C. It was derived from a PBE-relaxed structure, using CuKα.

Top 10 peaks for 10 to 80 degrees two-theta, low angle first:
- 15.11 deg, 5.864 Å, intensity 13
- 21.19 deg, 4.193 Å, intensity 14
- 26.13 deg, 3.411 Å, intensity 23
- 30.49 deg, 2.932 Å, intensity 29
- 33.88 deg, 2.646 Å, intensity 100
- 37.43 deg, 2.403 Å, intensity 18
- 43.15 deg, 2.096 Å, intensity 32
- 53.75 deg, 1.705 Å, intensity 24
- 56.38 deg, 1.632 Å, intensity 23
- 73.19 deg, 1.293 Å, intensity 23

Structure:
a b c (Å): 4.193 4.193 5.864
angles (deg): 90.00 90.00 90.00
Positions (direct):
Ac 0.000 0.000 0.000
Al 0.500 0.500 0.237
Al 0.500 0.500 0.763
Os 0.000 0.500 0.500
Os 0.500 0.000 0.500
C 0.000 0.000 0.500

***

The following is a calculated powder diffraction line list of SrBeO2. It was derived from a PBE-relaxed structure, using CuKα.

Top 10 peaks for 10 to 80 degrees two-theta, low angle first:
- 19.91 deg, 4.459 Å, intensity 48
- 25.49 deg, 3.494 Å, intensity 97
- 30.25 deg, 2.955 Å, intensity 72
- 34.27 deg, 2.617 Å, intensity 92
- 34.99 deg, 2.565 Å, intensity 92
- 35.13 deg, 2.554 Å, intensity 29
- 39.43 deg, 2.285 Å, intensity 32
- 40.09 deg, 2.249 Å, intensity 100
- 45.08 deg, 2.011 Å, intensity 45
- 53.65 deg, 1.708 Å, intensity 30

Structure:
a b c (Å): 5.320 5.320 4.129
angles (deg): 100.23 100.23 118.42
Positions (direct):
Sr 0.151 0.849 0.750
Sr 0.849 0.151 0.250
Be 0.495 0.505 0.250
Be 0.505 0.495 0.750
O 0.220 0.410 0.902
O 0.410 0.220 0.402
O 0.590 0.780 0.598
O 0.780 0.590 0.098

***

The following is a calculated powder diffraction line list of NiRh4. It was derived from a PBE-relaxed structure, using CuKα.

Top 8 peaks for 10 to 80 degrees two-theta, low angle first:
- 20.93 deg, 4.244 Å, intensity 2
- 27.85 deg, 3.203 Å, intensity 2
- 29.77 deg, 3.001 Å, intensity 1
- 41.22 deg, 2.190 Å, intensity 100
- 47.94 deg, 1.898 Å, intensity 32
- 48.04 deg, 1.894 Å, intensity 16
- 60.78 deg, 1.524 Å, intensity 1
- 70.18 deg, 1.341 Å, intensity 30

Structure:
a b c (Å): 4.647 4.647 4.647
=====
End of the crystal structures

Jenin refugee camp has been turned into a “liberated area” by armed resistance factions. Now the resistance hopes the Jenin model will spread to other parts of the West Bank.

“Look, we are defending ourselves,” he says, in a voice both clear and firm, apparently anticipating the question. “I first became wanted [by Israel] two years ago,” he tells Mondoweiss. 

Pistol always on hand, his stature is imposing, his gait upright. Abu Daboor, 28, stands at the entrance of Jenin refugee camp. The brown flesh of his hands contrasts with his black top and dark sweatpants. Behind him, past the roundabout and through the barricades at the entrance of Jenin Refugee camp, a clumsy graffiti reads, “the wasps’ nest welcomes you.” 

Established in 1953, the 0.42 square kilometers comprising the camp is home to almost 12,000 Palestinians, many of whom are originally from areas near Haifa and Nazareth, north of historic Palestine. 

Jenin refugee camp is widely known among the Israeli security apparatus as “the wasp’s nest,” a term that with the start of the year has been re-popularized, especially during the first months of the ongoing Israeli military onslaught on bastions of Palestinian resistance.

It is almost 3:00 a.m., and the watchmen of the camp are patrolling the streets nearby, ready to protect the camp from Israeli invasions. Despite the late hour, the men are alert to any unfamiliar face, fearing they may potentially be undercover Israeli special forces on an assassination mission. This year, more than 16 resistance fighters have been targeted and assassinated in Jenin alone, the result of a return to the decades-old Israeli policy of “liquidation”.

Cooperation of the armed factions in Jenin

“This is the first time I have seen such targeted attacks,” Yara Eid, a student and activist that reported from Gaza during Operation Breaking Dawn, told Mondoweiss back in August. She was referring to the Israeli strikes against leaders of the Palestinian Islamic Jihad (PIJ) in Gaza. The Israeli onslaught on Gaza, which took the lives of 51 Palestinians, 17 of whom were children, was motivated by the PIJ’s role in funding armed groups in the West Bank.

One of the main groups that was founded by the PIJ was the Jenin Brigade, Katibet Jenin in Arabic. Although the Brigade initially functioned as a Jenin branch of Saraya al-Quds (Al-Quds Brigades, the PIJ’s armed wing), the Jenin Brigade has now evolved into a more complex and politically unaffiliated formation. It operates as an umbrella organization for a diverse set of armed groups, and the political and factional ideologies of the various fighters in the Brigade have taken a backseat to the immediate objective of protecting the camp and repelling Israeli incursions.

“Each faction operates on its own,” 43-year-old Abu Mujahed, the camp’s spokesperson for Al-Aqsa Martyrs Brigade (Fatah’s armed wing) told Mondoweiss from a home that had harbored the two Palestinian escapees from the Gilboa Prison break, Munadel Nufeiat and Ayham Kamamji. “But when the army invades, we are all on the ground,” he said. 

By “we”, Abu Mujahed refers to all of the armed political organizations, regardless of political faction. Since Saraya al-Quds and Al-Aqsa Martyrs Brigade operate in tandem, Israel is no longer interested in targeting, or isolating, one faction at the expense of another.  The effect this has had for Palestinians is to erode, if not dissolve, factional rivalries. This has not, however, meant the dissolution of factional affiliation.

For fighters, being part of a faction is not necessarily about ideological agreement or a political line, but rather becomes a means of operating within the safety of membership. “I get my legitimacy, my cover…from Al-Aqsa Martyrs Brigade,” Abu Mujahed says.

“We have directly informed the leadership that we will not forgo the rifle,” Abu Mujahed continued. Glancing occasionally at his phone for word of an Israeli invasion of the camp, he turns back to me and says defiantly: “we are with armed resistance.” 

As resistance fighters refuse to operate clandestinely or underground, they allow for a transparency that carves a space for political diversity and battle-unity. This continues to allow resistance groups to flaunt their presence in the streets — to their fellow Palestinians, but also to the globe — as a legitimate armed group resisting an illegal Israeli occupation.

A liberated Palestinian area

With dawn prayers just two hours away, the streets of Jenin refugee camp are still. The shadows of the camp loom over the heads of the scouts moving within the camp. Everyone else is in their homes, knowing that an Israeli military raid is more than likely to occur. 

In June, the Israeli military’s social media account described Jenin as “a stronghold for the world’s deadliest terrorist groups.” This language is reminiscent of the precursors to the 2002 invasion of the West Bank, when Israel launched Operation Defensive Shield against Palestinian towns, villages, and cities. Jenin and Nablus, located in the northern West Bank, bore the brunt of the attack.

The primary objective of the operation was to “strike Palestinian terrorist infrastructures and put an end to the wave of terrorist attacks against Israeli citizens,” according to the official Israeli army website. Yet, almost two decades after the brutal invasion — which caused more harm to non-combatants and civilians, especially children — resistance continues to rise out of Jenin and elsewhere. 

Like the Lions’ Den operating out of the Old City in Nablus, Jenin refugee camp has become a neighborhood of wanted men left to fend for themselves and to protect their townspeople amid attacks by the Israeli military and special forces. 

Abu Daboor stands with his arms crossed at the entrance of the camp. The young fighter shows his pistol for a moment and tucks it away. “Look, I consider Jenin refugee camp as a liberated Palestinian area,” he says with enthusiasm. 

During Israeli army operations and raids on Palestinian cities and towns, a soldier can often be heard shouting from the speakers attached to the army vehicle declaring the area as “a closed military zone.” 

This illegal practice acts as a precursor to a violent crackdown on Palestinians in the area. During the years of the Second Intifada, and after it, Israeli soldiers would commonly threaten via loudspeakers that “whoever is roaming will be killed.” 

Yet for the first time, Jenin refugee camp cannot be turned into a closed military area and invaded by Israeli forces freely and without impediment. “Jenin is a liberated area. We hope it extends to the rest of Palestine, as the small liberated areas spread,” Abu Daboor told Mondoweiss, hoping that such a strategy would gradually win “one bit back at a time.” This is where the power of the Jenin model lies, in inspiring Palestinians, if not by success, then by lessons learned from past failures. 

Amid the violent crackdown on Palestinian resistance in Nablus and Jenin, a new “disruption brigade” has taken shape in Ramallah and Al-Bireh. This comes at a time when Palestinian youth from Ramallah, Nablus, Bethlehem, and many other areas of the West Bank are finding new means of confrontation. 

A resistance movement emerges under the leadership’s nose

Before the assassination of the three resistance fighters from Nablus on February 8, the Jenin Brigade was already triggering Israeli anxiety around the specter of Palestinian armed confrontation with the army.

“I am not going to lie to you,” Abu Mujahed said. “There is no real strategy here. We are going with the flow, to be frank,” he remarked with disarming candor. “All of this, it’s a collective popular wave.”

Palestinian resistance fighters are neither separate from the broader Palestinian community, nor isolated from their generational peers. In one hand, they carry the gun, and in the other, they pursue unity of struggle and forge bonds of comradeship.

“Our approach is to increase and reinforce Palestinian resistance and national unity,” Abu Mujhad says. Yet as Palestinian resistance groups in Jenin and Nablus embody political unity in their struggle against colonialism, unity at the political level remains ever distant.

The interactions observed between Palestinian leaders and representatives from both Hamas and the Palestinian Authority (PA) showcase a widening disconnect from the Palestinian lived reality, as well as the diplomatic frameworks under which leaders operate, in order to ensure their own factional survival, relevance, or control. 

“After being released from Israeli prisons, I was targeted by the PA,” Abu Daboor recalls, noting that he had spent almost five years in Israeli prisons throughout his twenties. “I was first targeted by the PA a year and a half ago, and the PA tried to kill me twice before.” Abu Daboor’s tone turns sour, as he recounts the drive-by shooting incident that targeted him last year.

Since the marked rise of Palestinian resistance against illegal Israeli settlement expansion, the PA and Hamas leadership have released public statements of support for the resistance. 

Yet both have to varying degrees stood by and allowed the targeted assassinations of resistance fighters to take place. This was the case with Hamas’ lack of intervention during the recent Gaza attack — when Israel targeted PIJ offices in Gaza and assassinated PIJ senior commander Tayseer al-Jaabari, Israel was sure not to harm any of the Hamas offices in the building shared with the PIJ.

The PA has taken this many steps further, directly participating in quelling the resistance and doing Israel’s dirty work. This was the case with the PA’s arrest of two members of the Lions’ Den in Nablus back in September. 

The Palestinian population’s aspirations to live independently, freely, and with control over their own fate, is the primary driver behind this period of armed confrontation. But while the spotlight is now on the armed groups, the Palestinian population at large has engaged in open confrontation with Israeli authorities. The impunity of settler violence and persistent settlement expansion only adds fuel to the fire, and bubbling beneath the surface is a sea of collective unrest. 

Mariam Barghouti is the Senior Palestine Correspondent for Mondoweiss